
Haha! I had one of those back in the day :)

Grew up 21 miles north of Buffalo N.Y....Was a rabid and undying Bills fan through my 70's childhood, through the 80's and finally the “Glory Years” of the 90's....As far as the other Bills fans that I interacted with, there was sometimes the veiled “Oh, I never go any farther north than [Name your Southtown],

I laughed way too hard at that :)

This is about housing, and jobs....There are federal laws prohibiting housing and employment discrimination....If you are stating that you don’t understand why trying to hide job and property vacancies from non-white people is wrong, then you are in fact a troll.

Thank you for your research, I was trying to figure that GIF out also. EDIT: Still not sure how that’s going to fix whatever’s going on back there.

I see what you did there...Well done.

'''
# TbGdHo2 | the Alexandria database | PBE-GGA | relaxed
data_TbGdHo2
_chemical_formula_sum 'Tb4 Gd4 Ho8'
_cell_length_a 7.999
_cell_length_b 7.999
_cell_length_c 7.999
_cell_angle_alpha 90.00
_cell_angle_beta 90.00
_cell_angle_gamma 90.00
_symmetry_space_group_name_H-M 'F m -3 m'
_symmetry_Int_Tables_number 225
_symmetry_space_group_name_Hall '-F 4 2 3'
loop_
_atom_site_label
_atom_site_type_symbol
_atom_site_fract_x
_atom_site_fract_y
_atom_site_fract_z
_atom_site_occupancy
Tb1 Tb 0.000 0.000 0.000 1
Gd1 Gd 0.000 0.000 0.500 1
Ho1 Ho 0.250 0.250 0.250 1
# D(E_F): 2.07 states/eV per atom
# offset from the most stable computed form: 2.33 kcal/mol of atoms
# final energy: -27.38 eV/f.u.
# energy relative to the elements: 0.48 eV per formula unit
# size of the total moment: 34.6 μB per cell
'''
Back to the text =

You don’t date your “Bro’s” EX even if said Bro gives permission....Chances are that if you ask he will give that permission because he wants to show how “Over” her he is....And he may be...But seeing her.....All the time....Everywhere....With you....Is going to destroy that friendship. If he’s really your good friend

It’s actually “Honeytrap”....Not “Honeypot” She’s an ok pot I suppose :)

Pitcher signals, then appears to be trying to make the catch when he is cutoff by the running 1st baseman.

Which one? Or is this a new one?

“Lots of people have $20,000 sitting around, and you don’t need to be a 1%er (I don’t really like that term) to have that. Lots of “common man” have around that level of liquid cash. Perhaps you are biased because of your own experiences in life?”

Thank You...This is the exactly what I say to my friends who can’t wait for this to be an everyday thing. Who’s fault is it when something goes wrong?

So are you saying you’re ok with exterminating people and taking their stuff cause that what happened to your ancestors ?

I like this, but only have single round “insta -death” if they are shot in the head, or center of chest...Otherwise continue the one shot“realism” with a rapid degradation in the ability to move and see (blood loss/shock) until they are virtually immobile and nearly blind. If they are not tended to and removed from

Yeah, what is with insurgents and the Hilux? And how come I can’t get one here in the US?

Depends on the job, sometimes a “boring old clamshell” does exactly what you need it to do...Cheaply.

Watch out Dude, you are getting jumped on by trolls (yes trolls) in full denial/damage control mode. Some them probably don’t even live in this country. These are the same trolls (yes trolls) who will tell you the rebel flag doesn’t represent, and the Civil War wasn’t fought about slavery. Your first clue should be

I pinch off the fur and eat it anyway...Isn’t that what toasters are for?